# Data
<<<
No. 1
{"formula": "C10H10BrLiN2O2", "method": "ωB97M-V with the def2-TZVPD basis set", "symbols": ["Li", "C", "C", "C", "C", "C", "Br", "N", "C", "H", "H", "H", "H", "H", "H", "O", "C", "C", "C", "C", "O", "N", "H", "H", "H", "H"], "positions_angstrom": [[-2.046, -1.507, -0.102], [1.963, 0.386, -2.833], [0.635, 0.557, -2.189], [0.277, 1.705, -1.489], [-1.040, 1.891, -1.013], [-1.923, 0.864, -1.295], [-3.675, 0.997, -0.583], [-1.580, -0.285, -1.819], [-0.334, -0.435, -2.241], [1.858, 0.438, -3.911], [2.340, -0.591, -2.537], [2.648, 1.139, -2.424], [1.018, 2.456, -1.249], [-1.377, 2.741, -0.460], [-0.117, -1.423, -2.633], [-1.391, -2.576, 1.333], [-0.710, -1.601, 1.736], [0.269, -1.729, 2.837], [0.718, -0.268, 3.018], [-0.018, 0.499, 1.886], [0.188, 1.668, 1.631], [-0.798, -0.384, 1.195], [1.080, -2.429, 2.581], [-0.169, -2.166, 3.735], [1.746, -0.075, 2.826], [0.438, 0.129, 4.000]], "lowdin_charge": [0.67, -0.04, -0.26, 0.01, -0.09, -0.80, 0.77, -0.04, -0.11, 0.09, 0.08, 0.09, 0.12, 0.10, 0.12, -0.09, -0.56, -0.09, -0.07, -0.49, 0.04, 0.10, 0.13, 0.12, 0.10, 0.12], "charge": 0, "lumo_ev": 0.38}

No. 2
{"formula": "C4H4NO3PS", "method": "ωB97M-V with the def2-TZVPD basis set", "symbols": ["O", "P", "O", "O", "C", "N", "S", "C", "C", "C", "H", "H", "H", "H"], "positions_angstrom": [[-1.649, -2.707, 1.486], [-1.730, -1.272, 1.026], [-2.173, -0.343, 2.152], [-2.382, -1.017, -0.304], [0.098, -0.570, 0.675], [1.214, -1.007, 0.830], [2.587, 0.168, 0.295], [1.687, 0.594, -1.214], [0.383, 1.207, -0.842], [-0.392, 0.819, 0.142], [1.233, -0.398, -1.648], [2.341, 1.181, -1.759], [0.184, 2.180, -1.129], [-1.402, 1.167, 0.291]], "lowdin_charge": [-0.49, 0.03, -0.47, -0.44, -0.42, -0.21, 0.65, -0.55, -0.25, -0.11, 0.12, 0.01, 0.05, 0.08], "smiles": "O=P([O-])([O-])C1=NSCC=C1", "charge": -2, "lumo_ev": 5.23, "e_above_lowest_kj_mol": 142.77}

No. 3
>>>
# Activity
What is needed: print all of the listing earlier on with every line break kept.
# Worked solution
No. 1
{"formula": "C10H10BrLiN2O2", "method": "ωB97M-V with the def2-TZVPD basis set", "symbols": ["Li", "C", "C", "C", "C", "C", "Br", "N", "C", "H", "H", "H", "H", "H", "H", "O", "C", "C", "C", "C", "O", "N", "H", "H", "H", "H"], "positions_angstrom": [[-2.046, -1.507, -0.102], [1.963, 0.386, -2.833], [0.635, 0.557, -2.189], [0.277, 1.705, -1.489], [-1.040, 1.891, -1.013], [-1.923, 0.864, -1.295], [-3.675, 0.997, -0.583], [-1.580, -0.285, -1.819], [-0.334, -0.435, -2.241], [1.858, 0.438, -3.911], [2.340, -0.591, -2.537], [2.648, 1.139, -2.424], [1.018, 2.456, -1.249], [-1.377, 2.741, -0.460], [-0.117, -1.423, -2.633], [-1.391, -2.576, 1.333], [-0.710, -1.601, 1.736], [0.269, -1.729, 2.837], [0.718, -0.268, 3.018], [-0.018, 0.499, 1.886], [0.188, 1.668, 1.631], [-0.798, -0.384, 1.195], [1.080, -2.429, 2.581], [-0.169, -2.166, 3.735], [1.746, -0.075, 2.826], [0.438, 0.129, 4.000]], "lowdin_charge": [0.67, -0.04, -0.26, 0.01, -0.09, -0.80, 0.77, -0.04, -0.11, 0.09, 0.08, 0.09, 0.12, 0.10, 0.12, -0.09, -0.56, -0.09, -0.07, -0.49, 0.04, 0.10, 0.13, 0.12, 0.10, 0.12], "charge": 0, "lumo_ev": 0.38}

No. 2
{"formula": "C4H4NO3PS", "method": "ωB97M-V with the def2-TZVPD basis set", "symbols": ["O", "P", "O", "O", "C", "N", "S", "C", "C", "C", "H", "H", "H", "H"], "positions_angstrom": [[-1.649, -2.707, 1.486], [-1.730, -1.272, 1.026], [-2.173, -0.343, 2.152], [-2.382, -1.017, -0.304], [0.098, -0.570, 0.675], [1.214, -1.007, 0.830], [2.587, 0.168, 0.295], [1.687, 0.594, -1.214], [0.383, 1.207, -0.842], [-0.392, 0.819, 0.142], [1.233, -0.398, -1.648], [2.341, 1.181, -1.759], [0.184, 2.180, -1.129], [-1.402, 1.167, 0.291]], "lowdin_charge": [-0.49, 0.03, -0.47, -0.44, -0.42, -0.21, 0.65, -0.55, -0.25, -0.11, 0.12, 0.01, 0.05, 0.08], "smiles": "O=P([O-])([O-])C1=NSCC=C1", "charge": -2, "lumo_ev": 5.23, "e_above_lowest_kj_mol": 142.77}

No. 3